![]() 02/15/2018 at 12:00 • Filed to: infrastructure, design, driving, Embiggen this | ![]() | ![]() |
## These calculated crystals were left in the text by mistake
┌──
Dy8Ga3Co: calculated X-ray powder pattern (CuKα), based on a DFT-relaxed cell (GGA-PBE, OQMD).

Structural model:
```
Dy8Ga3Co
1.0
10.0283 0.0000 0.0000
-5.0141 8.6848 0.0000
0.0000 0.0000 6.8994
Dy Ga Co
16 6 2
Direct
0.0000 0.0000 0.0000
0.0000 0.0000 0.5000
0.0727 0.5364 0.0243
0.1728 0.3456 0.7222
0.1728 0.8272 0.7222
0.3333 0.6667 0.4044
0.3456 0.1728 0.2222
0.4636 0.5364 0.0243
0.4636 0.9273 0.0243
0.5364 0.0727 0.5243
0.5364 0.4636 0.5243
0.6544 0.8272 0.7222
0.6667 0.3333 0.9044
0.8272 0.1728 0.2222
0.8272 0.6544 0.2222
0.9273 0.4636 0.5243
0.1634 0.3269 0.2715
0.1634 0.8366 0.2715
0.3269 0.1634 0.7715
0.6731 0.8366 0.2715
0.8366 0.1634 0.7715
0.8366 0.6731 0.7715
0.3333 0.6667 0.7908
0.6667 0.3333 0.2908
```

Principal peaks in the range 2θ = 10–90°, most intense first:
- 2θ 33.17, intensity 100
- 2θ 35.82, intensity 90
- 2θ 30.15, intensity 46
- 2θ 61.62, intensity 27
- 2θ 31.48, intensity 22
- 2θ 33.57, intensity 20
- 2θ 55.28, intensity 18
- 2θ 24.22, intensity 18
- 2θ 49.61, intensity 17
- 2θ 65.71, intensity 16



TaNbFe2B2: calculated X-ray powder pattern (CuKα), based on a DFT-relaxed cell (GGA-PBE, OQMD).

Structural model:
```
TaNbFe2B2
1.0
3.0827 0.0000 0.0000
0.0000 1.6158 6.9449
0.0000 -1.6158 6.9449
Ta Nb Fe B
1 1 2 2
Direct
0.0000 0.0000 0.0000
0.5000 0.1895 0.1895
0.0000 0.8003 0.8003
0.5000 0.3908 0.3908
0.0000 0.6291 0.6291
0.5000 0.5597 0.5597
```

Principal peaks in the range 2θ = 10–90°, most intense first:
- 2θ 40.98, intensity 100
- 2θ 42.93, intensity 87
- 2θ 39.07, intensity 62
- 2θ 28.36, intensity 57
- 2θ 31.76, intensity 45
- 2θ 45.12, intensity 40
- 2θ 12.75, intensity 33
- 2θ 76.59, intensity 30
- 2θ 49.22, intensity 25
- 2θ 25.65, intensity 24

~~~~~

# 1
This entry pairs a crystal structure of LiNbTe3O12 with its theoretical X-ray diffraction stick pattern. Radiation: Cu Kα. Structure: DFT lattice parameters and positions (PBE).
Lines closer than 0.1° are merged.

Peak list (10 most intense, 2θ = 10–80°, by intensity)
20.60 deg, d = 4.312 Å, rel. 100.0, (1 1 0); 19.81 deg, d = 4.483 Å, rel. 48.9, (0 1 1); 32.23 deg, d = 2.777 Å, rel. 33.5, (1 2 -1); 32.35 deg, d = 2.767 Å, rel. 31.7, (1 2 1); 35.46 deg, d = 2.531 Å, rel. 18.6, (0 3 1); 40.21 deg, d = 2.243 Å, rel. 15.0, (1 1 -2); 51.46 deg, d = 1.776 Å, rel. 14.0, (2 3 -1); 51.63 deg, d = 1.770 Å, rel. 13.7, (2 3 1); 40.41 deg, d = 2.232 Å, rel. 12.8, (1 1 2); 34.25 deg, d = 2.618 Å, rel. 10.8, (0 0 2)

Crystal structure
a = 4.9685 Å, b = 8.6761 Å, c = 5.2356 Å
α = 90.00°, β = 90.36°, γ = 90.00°
Space group P2 (No. 3)
Unique sites:
1 Li 0.0000 0.0000 0.0000 (multiplicity 1)
2 Nb 0.0000 0.3859 0.0000 (multiplicity 1)
3 Te 0.0000 0.1957 0.5000 (multiplicity 1)
4 Te 0.5000 0.6930 0.0000 (multiplicity 1)
5 Te 0.5000 0.8820 0.5000 (multiplicity 1)
6 O 0.1951 0.1947 0.8153 (multiplicity 2)
7 O 0.2118 0.3490 0.3190 (multiplicity 2)
8 O 0.2425 0.0276 0.3566 (multiplicity 2)
9 O 0.2578 0.5386 0.8779 (multiplicity 2)
10 O 0.2848 0.8581 0.8171 (multiplicity 2)
└──
Some say that driving is difficult. Videos of automotive operator error pop up every day. Here are some ways modern infrastructure is designed to make driving easy.
This post originally appeared on July 23, 2015.
Let’s start by looking at children’s toys. When a kid’s version of a grown-up item is designed, there two major differences. A toy phone is a good example:
1. Everything is super-sized.
Just look at those buttons. They’re huge! You and I could navigate the tiny keyboard of a Blackberry with minimal misspellings. But children are still practicing their motor skills, and this helps them select one button at a time. By moving their arm towards a number, the kid stands a good chance of pressing the button they were aiming for. As they develop more skill in using their elbow, wrist, and fingers, precision becomes much easier. But for now, large features make hitting the target a cakewalk.
2. Colors!
The other thing that stands out to make an object instantly recognizable as a toy is its array of colors. Bright, distinctive colors too, and kids love this. It also helps with learning. Before they learn their numbers, kids start recognizing colors. Even if they haven’t developed the language skills to name those colors, they can tell the difference between red and blue.
Even as our tastes mature, bright colors still help greatly to draw instant visual attention. Colors continue to be extremely helpful to adults. When reading statistical graphs and charts, color-coding helps the eye jump to the data you are looking for.
With a large degree of consistency, traffic control devices are color-coded in the US. And the colors are organized in a natural fashion to help you find the information you’re looking for.
signs are
; they’re important and require your attention. That new lane that appears on the right? It’s just a right turn (only) lane, so don’t get excited. Speed limit and passing zone signs are also white. There is no greater contrast than white and black when it comes to signage. Can’t miss it; don’t ignore it.
is a color that traditionally symbolizes
. Fire and blood are natural elements that support this. Serious injury could await one who ignores a stop, yield, or do-not-enter sign.
catches one’s attention in a similar way, but its meaning is toned down. Danger is still possible, but not likely, so yellow is used for
signs. Deer crossing? Not right now. The bridge is 14’8”? Yeah, I think I can fit.
Other colors are less critical, but help to codify the information they provide. Green guide signs help you find your way. Blue service signs lead to hospitals, food, gas, lodging, etc.
FUN FACT: In 1966, China decided red was the color of progress , and swapped the meanings of red and green on traffic signals. !!!error: Indecipherable SUB-paragraph formatting!!!
And let’s not forget everyone’s favorite color orange ... Just ask !!!error: Indecipherable SUB-paragraph formatting!!! .
Everything’s biiiig in Texas
Like children’s toys, modern roads and accompanying features are also built to generous size.
Most US highways have a minimum lane width of 12 feet. Sorry, was that a typo? I meant to say TWELVE feet. Most large trucks are just over 8 feet wide, and most of us drive cars that are 6 feet or less in width. That’s merely half of the lane! How long would you guess the broken lines in the road are? Would you believe close to ten feet?
You see that bozo who stopped at the red light waaaay past the stop line? He’s even beyond the crosswalk. But he’s not blocking cross-traffic. How is that possible? Why is the stop line so far back? Intersections are designed with extra room for turning left and right, and if you ever drive anything with a trailer, you know you need that extra room. But that’s not the only reason; visibility is a major factor, too.
More optical illusions here. From the driver seat, a stop sign might appear to stand about 6 feet tall. But walk up to it and you will find that it’s closer to 8, plus the street sign mounted above it.
_Next to the entry, the page also holds records of crystals_
-- begin --
Record 1
CdPH6NO5: computed PXRD pattern (a wavelength of 1.5418 Å), based on DFT lattice parameters and positions (PBE).

Cell and atoms:
```
CdPH6NO5
1.0
18.3169 0.0000 0.0000
0.0000 5.8799 0.0000
0.0000 0.0000 4.9949
Cd P H N O
4 4 24 4 20
Direct
0.2347 0.2500 0.1401 Cd
0.2653 0.7500 0.6401 Cd
0.7347 0.2500 0.3599 Cd
0.7653 0.7500 0.8599 Cd
0.1464 0.7500 0.2164 P
0.3536 0.2500 0.7164 P
0.6464 0.7500 0.2836 P
0.8536 0.2500 0.7836 P
0.0227 0.7500 0.5583 H
0.0239 0.7500 0.9091 H
0.0409 0.1050 0.2594 H
0.0409 0.3950 0.2594 H
0.1501 0.1169 0.6826 H
0.1501 0.3831 0.6826 H
0.3499 0.6169 0.1826 H
0.3499 0.8831 0.1826 H
0.4591 0.6050 0.7594 H
0.4591 0.8950 0.7594 H
0.4761 0.2500 0.4091 H
0.4773 0.2500 0.0583 H
0.5227 0.7500 0.9417 H
0.5239 0.7500 0.5909 H
0.5409 0.1050 0.2406 H
0.5409 0.3950 0.2406 H
0.6501 0.1169 0.8174 H
0.6501 0.3831 0.8174 H
0.8499 0.6169 0.3174 H
0.8499 0.8831 0.3174 H
0.9591 0.6050 0.7406 H
0.9591 0.8950 0.7406 H
0.9761 0.2500 0.0909 H
0.9773 0.2500 0.4417 H
0.0089 0.2500 0.2635 N
0.4911 0.7500 0.7635 N
0.5089 0.2500 0.2365 N
0.9911 0.7500 0.7365 N
0.0618 0.7500 0.2466 O
0.1433 0.2500 0.8017 O
0.1672 0.7500 0.9200 O
0.1795 0.5372 0.3673 O
0.1795 0.9628 0.3673 O
0.3205 0.0372 0.8673 O
0.3205 0.4628 0.8673 O
0.3328 0.2500 0.4200 O
0.3567 0.7500 0.3017 O
0.4382 0.2500 0.7466 O
0.5618 0.7500 0.2534 O
0.6433 0.2500 0.6983 O
0.6672 0.7500 0.5800 O
0.6795 0.5372 0.1327 O
0.6795 0.9628 0.1327 O
0.8205 0.0372 0.6327 O
0.8205 0.4628 0.6327 O
0.8328 0.2500 0.0800 O
0.8567 0.7500 0.1983 O
0.9382 0.2500 0.7534 O
```

Largest 10 diffraction maxima, in order of falling intensity, 15° ≤ 2θ ≤ 90°:
hkl, 2θ (°), I (rel.)
4 1 1, 30.54, 100
0 2 0, 30.40, 45
2 1 1, 25.34, 41
1 1 1, 23.87, 38
3 1 1, 27.61, 36
2 0 1, 20.25, 24
1 2 2, 48.06, 24
5 1 1, 33.96, 23
4 2 0, 36.31, 19
7 0 2, 50.52, 19

Record 2
CdH10S2N4O8: computed PXRD pattern (a wavelength of 1.5418 Å), based on DFT lattice parameters and positions (PBE).

Cell and atoms:
```
CdH10S2N4O8
1.0
5.5899 0.0000 0.0000
-0.9985 5.9146 0.0000
-1.7665 -0.5484 7.2553
Cd H S N O
1 10 2 4 8
Direct
0.0000 0.0000 0.0000 Cd
0.0780 0.2912 0.7181 H
0.1360 0.9239 0.3906 H
0.2291 0.5663 0.1710 H
0.2938 0.5981 0.4075 H
0.4436 0.7893 0.2872 H
0.5564 0.2107 0.7128 H
0.7062 0.4019 0.5925 H
0.7709 0.4337 0.8290 H
0.8640 0.0761 0.6094 H
0.9220 0.7088 0.2819 H
0.3547 0.7382 0.7767 S
0.6453 0.2618 0.2233 S
0.0819 0.8181 0.2721 N
0.2748 0.6808 0.2850 N
0.7252 0.3192 0.7150 N
0.9181 0.1819 0.7279 N
0.1563 0.7029 0.8836 O
0.3095 0.5356 0.6435 O
0.3354 0.9467 0.6741 O
0.3942 0.2431 0.0938 O
0.6058 0.7569 0.9062 O
0.6646 0.0533 0.3259 O
0.6905 0.4644 0.3565 O
0.8437 0.2971 0.1164 O
```

Largest 10 diffraction maxima, in order of falling intensity, 15° ≤ 2θ ≤ 90°:
hkl, 2θ (°), I (rel.)
0 1 -1, 18.66, 100
1 1 0, 24.40, 100
-1 1 2, 29.66, 77
-1 1 1, 22.18, 75
1 0 1, 22.96, 62
0 1 -2, 27.89, 49
0 1 0, 15.02, 47
1 2 -2, 41.36, 43
1 -1 2, 34.31, 42
2 0 -1, 32.76, 37


Entry 1:
Theoretical PXRD pattern
Compound: Zn2In2CuPt5
-- stop --
A regular-size speed limit or “pass with care” sign appears to be the size of an 8.5” x 11” piece of paper, but the smaller ones are actually more than double that- 18” x 24”.
Larger signs appear to be the size of, say, a suitcase, but you would have a hard time fitting one into your car (um- don’t ask). Some freeway signs are made up of multiple large sheets. Although the size of these signs don’t affect your driving, being able to read them quickly from a distance allows the driver more time to make decisions, like choosing the proper lane.
We don’t need this rainbow of colors, but they are extremely helpful, even if only on a subliminal level. And the vehicles most of us drive don’t need all this extra room, but it comes in handy. It can be hard to drive in a perfectly straight line, in the exact center of the lane. But preventing wrecks and keeping your car in one lane is easy enough. Why, it’s elementary.
![]() 07/23/2015 at 09:05 |
Welcome to Oppositelock. Lane widths are important but they weren’t always quite as wide. case. Here is one bridge notorious for collisions near where I grew up.
The Pattullo Bridge has four traffic lanes, but the lane widths are below current guidelines. The width between the bridge arches of the main span is 12.1 metres, which limits the outside traffic lanes to 3 metres and the inside traffic lanes to 2.9 metres, leaving only 0.3 metres for the centreline indicators.
Here it is.
• Someone pasted records of crystals at this point:
-- begin --
The following is a simulated powder XRD pattern of BaCaLaSbO6. It was derived from the GGA-PBE geometry in the Materials Project, using Cu Kα.

The 6 most intense peaks (10° ≤ 2θ ≤ 90°), low angle first:
2θ 29.15, rel. 100; 2θ 41.69, rel. 32; 2θ 51.67, rel. 40; 2θ 60.43, rel. 20; 2θ 68.48, rel. 18; 2θ 83.47, rel. 21

Crystal structure
Cell: 6.1277 6.1277 6.1277 Å, 60.00 60.00 60.00°
Fractional coordinates of all 10 atoms:
Ba: 0.0000 0.0000 0.0000
Ca: 0.5000 0.5000 0.5000
La: 0.7500 0.7500 0.7500
Sb: 0.2500 0.2500 0.2500
O: 0.0188 0.0188 0.4812
O: 0.0188 0.4812 0.0188
O: 0.0188 0.4812 0.4812
O: 0.4812 0.0188 0.0188
O: 0.4812 0.0188 0.4812
O: 0.4812 0.4812 0.0188

~~~~~

The following is a calculated PXRD pattern of Li9Mn2Co5O16. It was derived from a cell relaxed with GGA+U, using Cu Ka.

Structural model:
```
data_Li9Mn2Co5O16
_chemical_formula_sum 'Li9 Mn2 Co5 O16'
_cell_length_a 9.750
_cell_length_b 2.879
_cell_length_c 10.353
_cell_angle_alpha 90.00
_cell_angle_beta 98.67
_cell_angle_gamma 90.00
_space_group_name_H-M_alt 'P 1 m 1'
_space_group_IT_number 6
_space_group_name_Hall 'P -2y'
loop_
_atom_site_label
_atom_site_type_symbol
_atom_site_fract_x
_atom_site_fract_y
_atom_site_fract_z
Li1 Li 0.000 0.000 0.000
Li2 Li 0.001 0.000 0.503
Li3 Li 0.244 0.500 0.634
Li4 Li 0.246 0.500 0.122
Li5 Li 0.475 0.000 0.230
Li6 Li 0.488 0.000 0.766
Li7 Li 0.492 0.500 0.998
Li8 Li 0.734 0.500 0.882
Li9 Li 0.737 0.500 0.369
Mn1 Mn 0.734 0.000 0.115
Mn2 Mn 0.742 0.000 0.625
Co1 Co 0.000 0.500 0.753
Co2 Co 0.239 0.000 0.376
Co3 Co 0.260 0.000 0.895
Co4 Co 0.487 0.500 0.498
Co5 Co 0.987 0.500 0.251
O1 O 0.100 0.000 0.200
O2 O 0.104 0.000 0.694
O3 O 0.120 0.500 0.930
O4 O 0.121 0.500 0.435
O5 O 0.356 0.500 0.315
O6 O 0.357 0.500 0.814
O7 O 0.359 0.000 0.057
O8 O 0.374 0.000 0.552
O9 O 0.615 0.000 0.458
O10 O 0.629 0.000 0.953
O11 O 0.632 0.500 0.183
O12 O 0.636 0.500 0.686
O13 O 0.848 0.500 0.563
O14 O 0.853 0.500 0.067
O15 O 0.869 0.000 0.295
O16 O 0.877 0.000 0.790
```

Main lines, low angle first (15° ≤ 2θ ≤ 90°):
index	2θ (°)	I/Imax
1 0 -2	18.4	100
3 0 2	35.1	15
2 1 0	36.3	24
2 0 4	42.4	28
3 1 -2	44.1	51
1 1 -6	62.8	14
-- stop --
![]() 07/23/2015 at 09:15 |
There are many roads that were built before those guidelines were put in place, but in many cases its impractical or even impossible to alter them. Imagine the consequences of reducing the Pattullo Bridge down to two lanes, just to meet the current guidelines...
![]() 07/23/2015 at 09:18 |
No I refuse to imagine a traffic jam that long. Things seemed to have calmed down on that bridge there was about 10 fatalities from 1999-2006 or something but they started reducing it to two lanes from 10pm to 5am and the number has decreased.
![]() 02/15/2018 at 12:12 |
Oh gross. The Pattullo
![]() 02/15/2018 at 12:20 |
I used to commute on the Golden Gate bridge just as they were transitioning over to the moving lane barrier system. It was a little heart-pounding when it was just those little yellow barriers and you had to share space with tourists who didn’t set their mirrors up right.
![]() 02/15/2018 at 12:24 |
You bring up an interesting topic that may be worth an “embiggening”(if I ever researched and wrote it)...the fact that road designs have been focusing on what seems safe (wide lanes, good visibility, slower speed limits) that may actually do the opposite in the end.
![]() 02/15/2018 at 12:58 |
I think you would really like Tom Vanderbilt’s Traffic: Why We Drive the Way We Do (and What It Says About Us) , particularly the chapter on “When Dangerous Roads Are Safer”. I found a copy of it at my local library.